Hasbro Backtracking On That Whole ‘You Don’t Need Girl Toys’ Thing

Paul Harrison, an editor at Star Wars Collectible fan site Jedi Temple Archives, was at the New York Toy Fair last week, and on Tuesday, he posted an interview with a representative from Hasbro. He asked about the lack of female characters in their newest action figure lines. Their answer was plenty frustrating, but what’s happened since the story has hit the internet is even more concerning.

Specifically, Jedi Temple Archive asked:

== Records of crystals from another source follow ==
~~~
GGA-PBE NaCa2Al2P2H5O11F4, optimized geometry; total energy = -338.6 eV/cell; E_form = -2815 meV/atom; total magnetic moment = 0.000 μB/f.u.; calculated volume = 550.98 Å³/cell
1.0
5.531 0.000 0.000
0.000 10.789 0.000
-2.570 0.000 9.234
Na Ca Al P H O F
2 4 4 4 10 22 8
direct
0.207 0.250 0.186
0.793 0.750 0.814
0.238 0.584 0.643
0.238 0.916 0.643
0.762 0.084 0.357
0.762 0.416 0.357
0.228 0.595 0.242
0.228 0.905 0.242
0.772 0.095 0.758
0.772 0.405 0.758
0.358 0.750 0.991
0.372 0.250 0.544
0.628 0.750 0.456
0.642 0.250 0.009
0.019 0.750 0.348
0.173 0.519 0.937
0.173 0.981 0.937
0.226 0.122 0.891
0.226 0.378 0.891
0.774 0.622 0.109
0.774 0.878 0.109
0.827 0.019 0.063
0.827 0.481 0.063
0.981 0.250 0.652
0.087 0.250 0.472
0.102 0.750 0.269
0.130 0.042 0.854
0.130 0.458 0.854
0.238 0.750 0.825
0.261 0.633 0.056
0.261 0.867 0.056
0.354 0.250 0.970
0.443 0.132 0.644
0.443 0.368 0.644
0.476 0.750 0.571
0.524 0.250 0.429
0.557 0.632 0.356
0.557 0.868 0.356
0.646 0.750 0.030
0.739 0.133 0.944
0.739 0.367 0.944
0.762 0.250 0.175
0.870 0.542 0.146
0.870 0.958 0.146
0.898 0.250 0.731
0.913 0.750 0.528
0.142 0.533 0.404
0.142 0.967 0.404
0.344 0.058 0.217
0.344 0.442 0.217
0.656 0.558 0.783
0.656 0.942 0.783
0.858 0.033 0.596
0.858 0.467 0.596

* * * * *

# 1
First-principles (GGA+U) data for a relaxed Li7Mn5O12 crystal, as listed in the Materials Project database.

Calculated values
Space-group type: No. 1
ΔH_f (0 K) (eV/atom): -2.1394

```
Li7Mn5O12
1.0
6.0128 0.0000 0.0000
-0.1951 6.0122 0.0000
-1.4475 -1.5230 6.1156
Li Mn O
7 5 12
direct
0.0000 0.0000 0.0000
0.0137 0.5070 0.0048
0.3352 0.3338 0.3236
0.3588 0.8038 0.3267
0.5055 0.4963 0.0004
0.6503 0.1892 0.6728
0.6758 0.6657 0.6778
0.1720 0.1684 0.6696
0.1817 0.6610 0.6660
0.5009 0.9962 0.0040
0.8280 0.3399 0.3309
0.8349 0.8309 0.3308
0.0476 0.0997 0.3482
0.1076 0.5903 0.3485
0.2605 0.7550 0.9811
0.2691 0.2196 0.9829
0.3859 0.4191 0.6641
0.4231 0.8965 0.6838
0.5621 0.0767 0.3179
0.6237 0.5811 0.3356
0.7342 0.2311 0.0071
0.7345 0.7766 0.0169
0.9320 0.4403 0.6639
0.9582 0.9013 0.6544
```

# 2
First-principles (GGA+U) data for a relaxed Ca2Cr2Si3O12 crystal, as listed in the Materials Project database.

Calculated values
Space-group type: No. 142
ΔH_f (0 K) (eV/atom): -2.8953

```
Ca2Cr2Si3O12
1.0
-6.0304 6.0304 5.9415
6.0304 -6.0304 5.9415
6.0304 6.0304 -5.9415
Ca Cr Si O
8 8 12 48
direct
0.1280 0.2500 0.3780
0.2500 0.3720 0.1220
0.2500 0.8720 0.6220
0.3720 0.7500 0.1220
0.6280 0.2500 0.8780
0.7500 0.1280 0.3780
0.7500 0.6280 0.8780
0.8720 0.7500 0.6220
0.0000 0.0000 0.0000
0.0000 0.0000 0.5000
0.0000 0.5000 0.0000
0.0000 0.5000 0.5000
0.5000 0.0000 0.0000
0.5000 0.0000 0.5000
0.5000 0.5000 0.0000
0.5000 0.5000 0.5000
0.1240 0.7500 0.8740
0.1250 0.8750 0.2500
0.2500 0.1240 0.8740
0.2500 0.6240 0.3740
0.3750 0.6250 0.7500
0.3760 0.2500 0.6260
0.6240 0.7500 0.3740
0.6250 0.3750 0.2500
0.7500 0.3760 0.6260
0.7500 0.8760 0.1260
0.8750 0.1250 0.7500
0.8760 0.2500 0.1260
0.0041 0.3097 0.8968
0.0097 0.2011 0.1164
~~~

Where are the action figures for the female characters from Rebels, like Hera, Sabine, or Maketh Tua? Male characters like Ezra and Kanan have been released multiple times already in many formats and scales, yet the best we’ve seen on shelves so far is a single Sabine with a non-removable helmet and a yet-to-be-released Hera, both of whom are packed with re-released Stormtroopers. Female characters have always played an integral role in the Star Wars saga, from Leia in the original trilogy to Padme in the prequels to Ahsoka and Asaaj in The Clone Wars and have always been among the first characters released in figure form, yet for this new chapter in the Saga, they’ve barely been a blip on the radar.

Hasbro answered:

Hasbro feels they have released plenty of female characters in the line.

Which is a pretty clear “shut up, nerd” response if I’ve ever heard one. That’s where things jumped off. Women are already sick of poor representation in all media, not just comic books and movies. When you have a woman on your superhero team, and you leave her out of the apparel merchandising completely, that’s also telling fans to shut it. “Hey, so you got to talk in the movie or whatever, no one said you’d look cool on pajama pants. Quit whining.”

What’s pretty gross is Hasbro asking Jedi Temple Archive to change their answer. The new response reads:

### Here the piece breaks off for crystal structures
- - -
(1)
Computed, not measured: a relaxed structure of NbFe3 at the GGA-PBE level of DFT.

Cell lengths 5.9176, 5.9176, 5.9176 Å; angles 90.00, 90.00, 90.00 degrees
Atoms (fractional coordinates):
Nb: 0.0000 0.0000 0.0000
Nb: 0.0000 0.5000 0.5000
Nb: 0.5000 0.0000 0.5000
Nb: 0.5000 0.5000 0.0000
Fe: 0.0000 0.0000 0.5000
Fe: 0.0000 0.5000 0.0000
Fe: 0.2500 0.2500 0.2500
Fe: 0.2500 0.2500 0.7500
Fe: 0.2500 0.7500 0.2500
Fe: 0.2500 0.7500 0.7500
Fe: 0.5000 0.0000 0.0000
Fe: 0.5000 0.5000 0.5000
Fe: 0.7500 0.2500 0.2500
Fe: 0.7500 0.2500 0.7500
Fe: 0.7500 0.7500 0.2500
Fe: 0.7500 0.7500 0.7500

Output
Raw total energy = -8.926 eV per atom
Energy relative to the elements = -49 meV per atom
Crystal system = cubic



(2)
Computed, not measured: a relaxed structure of Ho2Ge2O7 at the GGA-PBE level of DFT.

Cell lengths 6.8056, 6.8276, 12.4048 Å; angles 94.87, 91.76, 91.87 degrees
Atoms (fractional coordinates):
Ho: 0.0515 0.3315 0.1125
Ho: 0.1135 0.0921 0.3571
Ho: 0.3160 0.8324 0.1148
Ho: 0.3726 0.2129 0.6311
Ho: 0.6274 0.7871 0.3689
Ho: 0.6840 0.1676 0.8852
Ho: 0.8865 0.9079 0.6429
Ho: 0.9485 0.6685 0.8875
Ge: 0.1394 0.6229 0.3772
Ge: 0.1647 0.1427 0.8840
Ge: 0.3866 0.7255 0.5986
Ge: 0.4850 0.6620 0.8324
Ge: 0.5150 0.3380 0.1676
Ge: 0.6134 0.2745 0.4014
Ge: 0.8353 0.8573 0.1160
Ge: 0.8606 0.3771 0.6228
O: 0.0055 0.6668 0.0799
O: 0.0114 0.0245 0.1849
O: 0.0457 0.2185 0.5736
O: 0.0655 0.4023 0.3028
O: 0.2231 0.9124 0.6273
O: 0.2450 0.0933 0.0143
O: 0.2854 0.7111 0.9148
O: 0.2880 0.7961 0.3113
O: 0.2978 0.5578 0.4861
O: 0.3419 0.4968 0.1192
O: 0.3660 0.2103 0.8106
O: 0.3882 0.1356 0.2184
O: 0.3991 0.5455 0.6955
O: 0.4027 0.1570 0.4499
O: 0.5973 0.8430 0.5501
O: 0.6009 0.4545 0.3045
O: 0.6118 0.8644 0.7816
O: 0.6340 0.7897 0.1894
O: 0.6581 0.5032 0.8808
O: 0.7022 0.4422 0.5139
O: 0.7120 0.2039 0.6887
O: 0.7146 0.2889 0.0852
O: 0.7550 0.9067 0.9857
O: 0.7769 0.0876 0.3727
O: 0.9345 0.5977 0.6972
O: 0.9543 0.7815 0.4264
O: 0.9886 0.9755 0.8151
O: 0.9945 0.3332 0.9201

Output
Raw total energy = -7.420 eV per atom
Energy relative to the elements = -3035 meV per atom
Energy above the most stable polymorph in this dataset = 34 meV/atom
Crystal system = triclinic



(3)
Computed, not measured: a relaxed structure of LiBi2S3O12 at the GGA-PBE level of DFT.

Cell lengths 8.8928, 8.8928, 8.8928 Å; angles 64.27, 64.27, 64.27 degrees
Atoms (fractional coordinates):
Li: 0.0000 0.0000 0.0000
Li: 0.5000 0.5000 0.5000
Bi: 0.1667 0.1667 0.1667
Bi: 0.3333 0.3333 0.3333
Bi: 0.6667 0.6667 0.6667
Bi: 0.8333 0.8333 0.8333
S: 0.0843 0.7500 0.4157
S: 0.2500 0.5843 0.9157
S: 0.4157 0.0843 0.7500
S: 0.5843 0.9157 0.2500
S: 0.7500 0.4157 0.0843
S: 0.9157 0.2500 0.5843
O: 0.0515 0.8147 0.5597
O: 0.0597 0.3147 0.5515
O: 0.0950 0.8954 0.2465
O: 0.1046 0.7535 0.9050
O: 0.1853 0.4403 0.9485
O: 0.2465 0.0950 0.8954
O: 0.2535 0.6046 0.4050
O: 0.3147 0.5515 0.0597
O: 0.3954 0.5950 0.7465
O: 0.4050 0.2535 0.6046
O: 0.4403 0.9485 0.1853
O: 0.4485 0.9403 0.6853
O: 0.5515 0.0597 0.3147
- - -
### End of the crystal structures

Hasbro actually has some great new characters from Rebels hitting shelves now such as Sabine and Hera and have recently been releasing more females within our Black Series and Saga Legends line such as Mara Jade, Toryn Farr, Bastila Shan, Luminara Unduli, Padma [sic] Amidala (Geonosis), and a number of great Leia’s such as Ep IV, Endor, and the awesome Boushh disguise that was revealed at NYCC. (Editor’s Note: Hasbro has asked to have this answer revised.)

I AM PUBLIC RELATIONS BOT 5000. I AM HERE FOR DAMAGE CONTROL. SPIN SPIN SPIN *prints out list of 23 obscure characters no one asked for* KLAXON KLAXON KLAXON

The writers make it clear that they’re not mad at Joe Ninivaggi and Jeff Labovitz, two of the marketing guys at Hasbro, but I’ve never had anyone ask me after an interview transcript was posted (TRANSCRIPT, which is LITERALLY JUST A TRANSCRIPTION OF WHAT YOU LITERALLY ACTUALLY LITERALLY SAID) to change it up. Usually, people issue corrections or retractions or make new public statements entirely. So, the way they handled it in the first place was dismissive, and the followup was shady. This is not building confidence that they’re actually trying to put toys in stores that people want to buy.

I’m a Star Wars fan and a collector of original series toys, both vintage and new. I’ve never heard of Sabine or Hera, both of whom are from the more recent Star Wars Rebels cartoons, which are what most kids of the action-figure-playing age are into right now. This doesn’t mean that I’m not interested in buying any of the other Star Wars titles that are still releasing toys. But Hasbro’s choices for new Leia action figures right now have been limited (at least in stores) to Slave Leia, the worst representation of a teenager who led a galaxy-wide rebellion that you can get. And guess which line of toys are hard to find in major department stores anyway? Yeah, Star Wars Rebels. Hasbro is basically skipping over fans young and old with an interest in complete sets.

The Mary Sue has done the footwork on this and found that you can actually sort the toys on Hasbro’s website by gender, revealing 729 “boy” products, 25 non-gender-specific toys, and six “girl” toys. SIX. SIX TOYS. The “well, women don’t buy action figures” excuse can’t even begin to work when THERE ARE NO ACTION FIGURES THAT WE WANT TO BUY.

It’s also, y’know, insulting to male fans who like those characters. They also cannot buy things that don’t exist.

_Attached: calculated crystals_
=====
Record 1
A relaxed Rb3Sn4Au crystal. Source: the Materials Project, functional r2SCAN.

Cell lengths 6.623, 7.274, 13.219 Å; angles 90.00, 90.00, 90.00 degrees
Atoms (fractional coordinates):
Rb 0.829 0.500 0.257
Rb 0.555 0.000 0.000
Sn 0.963 0.786 0.500
Rb 0.171 0.000 0.243
Au 0.317 0.000 0.500
Sn 0.331 0.500 0.882
Sn 0.963 0.214 0.500
Rb 0.445 0.500 0.500
Sn 0.037 0.286 0.000
Sn 0.669 0.000 0.618
Sn 0.331 0.500 0.118
Rb 0.829 0.500 0.743
Sn 0.669 0.000 0.382
Sn 0.037 0.714 0.000
Au 0.683 0.500 0.000
Rb 0.171 0.000 0.757

Its space-group type is Pmmn.

Record 2
A relaxed RbTeAu crystal. Source: the Materials Project, functional r2SCAN.

Cell lengths 5.138, 5.981, 7.267 Å; angles 90.00, 90.00, 90.00 degrees
Atoms (fractional coordinates):
Rb 0.500 0.250 0.713
Au 0.000 0.000 0.000
Au 0.000 0.500 0.000
Rb 0.500 0.750 0.287
Te 0.000 0.750 0.704
Te 0.000 0.250 0.296

Its space-group type is Pmma.

Record 3
A relaxed RbTeAu crystal. Source: the Materials Project, functional r2SCAN.

Cell lengths 4.734, 4.734, 10.490 Å; angles 90.00, 90.00, 120.00 degrees
Atoms (fractional coordinates):
Te 0.667 0.333 0.250
Au 0.333 0.667 0.250
Au 0.667 0.333 0.750
Rb 0.000 0.000 0.500
Te 0.333 0.667 0.750
Rb 0.000 0.000 0.000

Its space-group type is P6_3/mmc.

Record 4
A relaxed Zn2RhAu crystal. Source: the Materials Project, functional r2SCAN.

Cell lengths 4.327, 4.327, 4.327 Å; angles 60.00, 60.00, 60.00 degrees
Atoms (fractional coordinates):
Zn 0.500 0.500 0.500
Au 0.250 0.250 0.250
Rh 0.750 0.750 0.750
Zn 0.000 0.000 0.000

Its space-group type is Fm-3m.

Record 5
A relaxed Ta5AuS crystal. Source: the Materials Project, functional r2SCAN.

Cell lengths 8.880, 8.880, 8.879 Å; angles 60.00, 60.00, 60.00 degrees
Atoms (fractional coordinates):
Ta 0.668 0.995 0.668
Ta 0.995 0.668 0.668
S 0.369 0.369 0.369
S 0.369 0.893 0.369
Ta 0.697 0.303 0.303
Au 0.101 0.101 0.101
Ta 0.473 0.027 0.027
Ta 0.668 0.668 0.668
Ta 0.303 0.303 0.697
Ta 0.883 0.352 0.883
Au 0.697 0.101 0.101
Ta 0.697 0.303 0.697
Ta 0.473 0.473 0.027
Ta 0.352 0.883 0.883
Ta 0.668 0.668 0.995
Au 0.101 0.697 0.101
Au 0.101 0.101 0.697
Ta 0.303 0.697 0.303
Ta 0.027 0.027 0.473
Ta 0.027 0.473 0.027
Ta 0.027 0.473 0.473
Ta 0.473 0.027 0.473
S 0.369 0.369 0.893
Ta 0.883 0.883 0.883
Ta 0.697 0.697 0.303
S 0.893 0.369 0.369
Ta 0.883 0.883 0.352
Ta 0.303 0.697 0.697

Its space-group type is F-43m.

Record 6
A relaxed VAuS2 crystal. Source: the Materials Project, functional r2SCAN.

Cell lengths 3.224, 3.224, 15.023 Å; angles 90.00, 90.00, 120.00 degrees
Atoms (fractional coordinates):
Au 0.000 0.000 0.500
S 0.000 0.000 0.345
S 0.000 0.000 0.845
S 0.000 0.000 0.655
Au 0.000 0.000 0.000
V 0.333 0.667 0.250
V 0.667 0.333 0.750
S 0.000 0.000 0.155

Its space-group type is P6_3/mmc.

Record 7
A relaxed Sb2Au crystal. Source: the Materials Project, functional r2SCAN.

Cell lengths 6.736, 6.736, 6.736 Å; angles 90.00, 90.00, 90.00 degrees
Atoms (fractional coordinates):
Au 0.500 0.000 0.500
Sb 0.376 0.124 0.876
=====
_So much for the calculated crystals_

Via the Mary Sue